


From Issue: 355 [Read full issue]

Living the Quran

Al-Isra (The Night Journey)
Chapter 17: Verse 13

We're Responsible
"We have fastened every person's omen (fate) to his/her own neck."

The causes that lead us to ultimate salvation, to our everlasting happiness or unending misery, lie within ourselves. It is the proper use of our natural faculties, our power of judgment and decision, our preference and choice which makes us earn either happiness or misery.

People who do not understand this concept properly hold external factors to be responsible for their fortune. The fact, however, is that our good or bad fortune rests with Allah.

If we were to critically examine ourselves, we would realize that the factors which had put us on the road to our hardship or led to us commiting wrong lay within ourselves - our own bad character traits and bad decisions. Our hardships were not thrust upon us by outside factors.

"Towards Understanding the Quran" - Sayyid Abul Ala Maududi, vol. V, pg. 29

Understanding the Prophet's Life

The Value of Time in the Sunnah

Time is the substance of life, the sphere in which man exists, the citadel of his spirit, and his substinence - him benefiting himself and others.

Al-Bukhari, al-Tirmidhi, and Ibn Majah narrated, on the authority of Ibn Abbas, may Allah be pleased with both of them, that the Prophet said: "There are two blessings which many people lose: Health and free time for doing good."

Time is a precious blessing and a great gift, the value of which is only realised and benefited from by the successful guided ones, as indicated by the noble hadith, "which many people lose," implying that only a minority benefit from it, while the majority are wasters and losers.

"The Value of Time" - Abd Al-Fattah Abu Ghuddah, pp. 3-6

Free Tips!

Attached: records of crystals >
=====
Density functional theory data (PBE-GGA) for Ba3P6N8O6 after structural relaxation.

Summary:
Raw total energy, eV for the cell shown: -171.018

Unit cell a=7.4747 b=7.4747 c=6.4228 alpha=90.00 beta=90.00 gamma=120.00
Fractional positions:
Ba: 0.0000 0.0000 0.0000
Ba: 0.3333 0.6667 0.1159
Ba: 0.6667 0.3333 0.8841
P: 0.1763 0.4004 0.6019
P: 0.2241 0.8237 0.6019
P: 0.4004 0.2241 0.3981
P: 0.5996 0.7759 0.6019
P: 0.7759 0.1763 0.3981
P: 0.8237 0.5996 0.3981
N: 0.0223 0.3289 0.4033
N: 0.3066 0.9777 0.4033
N: 0.3289 0.3066 0.5967
N: 0.3333 0.6667 0.5709
N: 0.6667 0.3333 0.4291
N: 0.6711 0.6934 0.4033
N: 0.6934 0.0223 0.5967
N: 0.9777 0.6711 0.5967
O: 0.0778 0.3676 0.8197
O: 0.2899 0.9222 0.8197
O: 0.3676 0.2899 0.1803
O: 0.6324 0.7101 0.8197
O: 0.7101 0.0778 0.1803
O: 0.9222 0.6324 0.1803


Density functional theory data (PBE-GGA) for BaS2N2O6 after structural relaxation.

Summary:
Raw total energy, eV for the cell shown: -263.374

Unit cell a=10.9640 b=13.7178 c=4.9353 alpha=90.00 beta=90.00 gamma=90.00
Fractional positions:
Ba: 0.1751 0.1885 0.0000
Ba: 0.3249 0.6885 0.5000
Ba: 0.6751 0.3115 0.0000
Ba: 0.8249 0.8115 0.5000
S: 0.0557 0.6858 0.9373
S: 0.1625 0.9453 0.5504
S: 0.3375 0.4453 0.0504
S: 0.4443 0.1858 0.4373
S: 0.5557 0.8142 0.9373
S: 0.6625 0.5547 0.5504
S: 0.8375 0.0547 0.0504
S: 0.9443 0.3142 0.4373
N: 0.0370 0.5780 0.0811
N: 0.1616 0.9651 0.8781
N: 0.3384 0.4651 0.3781
N: 0.4630 0.0780 0.5811
N: 0.5370 0.9220 0.0811
N: 0.6616 0.5349 0.8781
N: 0.8384 0.0349 0.3781
N: 0.9630 0.4220 0.5811
O: 0.0471 0.8977 0.4814
O: 0.0554 0.2584 0.5035
O: 0.0687 0.6699 0.6438
O: 0.1681 0.7262 0.0563
O: 0.1731 0.0462 0.4486
O: 0.2304 0.3845 0.9984
O: 0.2696 0.8845 0.4984
O: 0.3269 0.5462 0.9486
O: 0.3319 0.2262 0.5563
O: 0.4313 0.1699 0.1438
O: 0.4446 0.7584 0.0035
O: 0.4529 0.3977 0.9814
O: 0.5471 0.6023 0.4814
O: 0.5554 0.2416 0.5035
O: 0.5687 0.8301 0.6438
O: 0.6681 0.7738 0.0563
O: 0.6731 0.4538 0.4486
O: 0.7304 0.1155 0.9984
O: 0.7696 0.6155 0.4984
O: 0.8269 0.9538 0.9486
O: 0.8319 0.2738 0.5563
O: 0.9313 0.3301 0.1438
O: 0.9446 0.7416 0.0035
O: 0.9529 0.1023 0.9814
=====

Offensive Attack!

Here are few tips on how to launch an offensive attack on Satan:

1. The Best Offense is a Good Defense
We can never pray enough for Allah’s help; the five daily prayers, a night of bonding in voluntary prayers or simply ask Allah for protection from Satan and dupedom.

2. Get the Guide
Read, understand, absorb and live the Quran. It guides us with examples of how people in the past dealt with Satan, it consoles us in our struggle and it lights hope with the promise of paradise. [See, Quran: Your Gateway to a New World]

3. Follow the Leader
While Satan strives to lead us astray, we should remember the example of the Prophet who was sent to guide us to the right way. If we practice like the Prophet, we too can defeat dupedom!

4. Get Stacked
Don’t bear the brunt of the battle alone; you need the help of your friends. As the Prophet Muhammad said, “A person is likely to follow the faith of his friend, so look (carefully) whom you choose to befriend.” [Ahmad] A group of dummies are destined to be duped so find friends that feel the way you do about faith. [Check out Cool or Fool]

These records of crystals were left in the entry by mistake:
Record 1
# GdGa3Ru

Crystalline GdGa3Ru at its relaxed geometry (PBE, the Materials Project).

Geometry as POSCAR:
```
GdGa3Ru
1.0
6.467 0.000 0.000
0.000 6.467 0.000
0.000 0.000 6.467
Gd Ga Ru
3 9 3
Direct
0.000 0.000 0.500
0.000 0.500 0.000
0.500 0.000 0.000
0.000 0.000 0.000
0.289 0.289 0.289
0.289 0.289 0.711
0.289 0.711 0.289
0.289 0.711 0.711
0.711 0.289 0.289
0.711 0.289 0.711
0.711 0.711 0.289
0.711 0.711 0.711
0.000 0.500 0.500
0.500 0.000 0.500
0.500 0.500 0.000
```

Summary:
Calculated formation energy (meV/atom): -582
Space group: Pm-3m, No. 221

Record 2
# GaGe3

Crystalline GaGe3 at its relaxed geometry (PBE, the Materials Project).

Geometry as POSCAR:
```
GaGe3
1.0
0.000 3.387 3.387
3.387 0.000 3.387
3.387 3.387 0.000
Ga Ge
1 3
Direct
0.000 0.000 0.000
0.250 0.250 0.250
0.500 0.500 0.500
0.750 0.750 0.750
```

Summary:
Excess energy over the best structure of this formula in the dataset (kJ/mol of formula units): 7.6
Magnetic moment (Bohr magnetons per cell): 0.00
Calculated formation energy (meV/atom): 259
Space group: Fm-3m, No. 225

Record 3
# GaGe3

Crystalline GaGe3 at its relaxed geometry (PBE, the Materials Project).

Geometry as POSCAR:
```
GaGe3
1.0
4.278 0.000 0.000
0.000 4.278 0.000
0.000 0.000 4.278
Ga Ge
1 3
Direct
0.000 0.000 0.000
0.000 0.500 0.500
0.500 0.000 0.500
0.500 0.500 0.000
```

Summary:
Excess energy over the best structure of this formula in the dataset (kJ/mol of formula units): 0.0
Magnetic moment (Bohr magnetons per cell): 0.00
Calculated formation energy (meV/atom): 240
Space group: Pm-3m, No. 221

Record 4
# GaGe3

Crystalline GaGe3 at its relaxed geometry (PBE, the Materials Project).

Geometry as POSCAR:
```
GaGe3
1.0
5.985 0.000 0.000
-2.993 5.183 0.000
0.000 0.000 5.035
Ga Ge
2 6
Direct
0.333 0.667 0.250
0.667 0.333 0.750
0.164 0.327 0.750
0.164 0.836 0.750
0.327 0.164 0.250
0.673 0.836 0.750
0.836 0.164 0.250
0.836 0.673 0.250
```

Summary:
Excess energy over the best structure of this formula in the dataset (kJ/mol of formula units): 5.7
Magnetic moment (Bohr magnetons per cell): 0.00
Calculated formation energy (meV/atom): 255
Space group: P6_3/mmc, No. 194

=====

# 1
An optimized crystal structure of NaSmMn4O12. Source: the Materials Project database, functional PBE+U.

Cell and atoms, written as extended XYZ:
```
18
Lattice="5.328 0.000 0.000 0.000 5.328 0.000 0.000 0.000 7.770" Properties=species:S:1:pos:R:3 pbc="T T T"
Na 2.664 2.664 3.885
Sm 0.000 0.000 0.000
Mn 0.000 2.664 5.742
Mn 0.000 2.664 2.028
Mn 2.664 0.000 5.742
Mn 2.664 0.000 2.028
O 1.284 1.284 6.002
O 1.284 1.284 1.768
O 4.044 4.044 6.002
O 4.044 4.044 1.768
O 4.044 1.284 6.002
O 4.044 1.284 1.768
O 1.284 4.044 6.002
O 1.284 4.044 1.768
O 0.000 2.664 3.885
O 0.000 2.664 0.000
O 2.664 0.000 3.885
O 2.664 0.000 0.000
```

The calculation puts the size of the total moment at 8.0 μB per formula unit.

---

# 2
An optimized crystal structure of NaSrSmMnO6. Source: the Materials Project database, functional PBE+U.
The entry goes on:

5. Never Stop
Satan is relentless. He won’t stop until he has us on a one-way trip to hell. We need to be just as persistent in the resistance, always purifying our hearts and filling our minds with the remembrance of Allah.

"Don't Be Duped" - Young Muslims' Latest Publication [Help Distribute]